Exercise:
Next, restate only the lines below with the word "and" in them.

File:
{
  "formula": "C4H11N3O2",
  "method": "the ωB97M-V functional and the def2-TZVPD basis",
  "homo_ev": -8.91,
  "orbital_gap_ev": 9.698,
  "e_tot_ha": -473.761568,
  "max_force_ev_per_a": 3.25,
  "de_lowest_ev": 1.121,
  "smiles": "CN=C(N)N.CC(=O)O",
  "elements": ["C", "N", "C", "N", "N", "H", "H", "H", "H", "H", "H", "H", "C", "C", "O", "O", "H", "H", "H", "H"],
  "positions_angstrom": [[-0.52085, 2.63049, -0.01241], [-0.57589, 1.22240, -0.31940], [-0.52450, 0.75709, -1.49038], [-0.91039, -0.56729, -1.71508], [-0.47395, 1.50296, -2.67406], [-1.41560, 3.15004, -0.37852], [0.33712, 3.07773, -0.52340], [-0.44846, 2.74064, 1.06308], [-1.48653, -0.85951, -0.93853], [-0.41620, -1.28750, -2.21970], [0.25017, 2.18572, -2.74338], [-0.78440, 1.08034, -3.53574], [0.73422, -2.77776, 1.97908], [0.86511, -1.34071, 1.49985], [1.68503, -0.76490, 0.86702], [-0.25579, -0.67268, 1.99626], [0.64904, -3.38163, 1.07227], [-0.02337, -3.00885, 2.71027], [1.73864, -3.07496, 2.32722], [-0.63414, -0.15930, 1.26516]],
  "atomic_forces_ev_per_a": [[0.1, -0.2, -1.0], [0.1, -0.7, 0.9], [-1.2, 0.0, -1.5], [-0.8, 0.1, 0.7], [0.4, -0.1, 0.4], [0.0, 0.0, 0.1], [0.1, 0.3, 0.4], [0.1, 0.2, 0.0], [0.3, -0.5, -0.2], [0.2, 0.5, 0.1], [0.2, 0.4, -0.2], [0.3, -0.1, 0.3], [2.5, -0.2, -1.0], [-2.6, 0.6, 1.9], [0.8, -0.7, -0.6], [0.1, -0.8, -0.4], [-0.4, -0.1, 0.0], [-0.2, 0.4, 0.0], [-0.4, 0.0, 0.2], [0.4, 1.1, -0.3]],
  "lowdin_charge": [-0.118, -0.013, -0.540, 0.110, 0.132, 0.080, 0.071, 0.069, 0.083, 0.090, 0.077, 0.086, 0.003, -0.554, 0.112, 0.015, 0.084, 0.076, 0.088, 0.050]
}



{
  "formula": "C4H11N3O2",
  "method": "the ωB97M-V functional and the def2-TZVPD basis",
  "homo_ev": -8.94,
  "orbital_gap_ev": 9.717,
  "e_tot_ha": -473.722918,
  "max_force_ev_per_a": 5.15,
  "de_lowest_ev": 2.173,
  "smiles": "[H]/N=C(/N)NC.CC(=O)O",
  "elements": ["H", "N", "C", "N", "N", "C", "H", "H", "H", "H", "H", "H", "C", "C", "O", "O", "H", "H", "H", "H"],
  "positions_angstrom": [[0.45100, 0.32164, 2.05627], [-0.08325, 0.23969, 1.24616], [-0.52826, 1.20718, 0.49273], [-1.22626, 0.79848, -0.66044], [-0.37691, 2.59861, 0.41905], [-1.48145, 3.66080, 0.18603], [-1.77584, 1.49998, -1.08185], [-1.56001, -0.12877, -0.60169], [0.40770, 3.03361, 0.90225], [-2.49383, 3.32769, 0.05615], [-1.09277, 4.33420, -0.64625], [-1.67916, 4.19091, 1.11438], [2.13325, -3.56106, -0.93378], [0.81712, -3.00812, -0.43831], [-0.37070, -3.01159, -0.82170], [1.03431, -2.26764, 0.73515], [1.83192, -4.50342, -1.40175], [2.88819, -3.92790, -0.18316], [2.88366, -2.96455, -1.48027], [0.22128, -1.83974, 1.04102]],
  "atomic_forces_ev_per_a": [[0.9, 1.2, 1.3], [-1.7, 1.0, -2.4], [-0.2, -1.2, -0.8], [1.2, 0.3, 1.6], [-0.5, 1.4, 0.9], [2.1, -0.4, -0.1], [-0.6, 0.4, -0.6], [-0.6, -0.9, -0.1], [-0.5, -0.6, 0.1], [-0.2, -1.0, -1.0], [-0.9, -0.8, 1.2], [0.8, 0.5, 0.2], [0.8, -2.0, 0.3], [-2.7, 3.4, 2.7], [3.7, -1.2, -0.4], [1.2, -1.7, -1.3], [0.4, 0.3, -0.8], [-1.5, 0.5, 0.4], [-1.4, 0.3, -0.6], [-0.3, 0.3, -0.5]],
  "lowdin_charge": [0.018, 0.109, -0.508, 0.122, -0.022, -0.068, 0.055, 0.074, 0.115, 0.059, 0.098, 0.061, -0.011, -0.468, 0.036, 0.005, 0.081, 0.096, 0.092, 0.056]
}



{
  "formula": "C4H11N3O2",
  "method": "the ωB97M-V functional and the def2-TZVPD basis",
  "homo_ev": -9.22,
  "orbital_gap_ev": 10.045,
  "e_tot_ha": -473.747279,
  "max_force_ev_per_a": 3.27,
  "de_lowest_ev": 1.510,
  "smiles": "[H]/N=C(\\N)NC.CC(=O)O",
  "elements": ["H", "N", "C", "N", "N", "C", "H", "H", "H", "H", "H", "H", "C", "C", "O", "O", "H", "H", "H", "H"],

Written answer:
  "method": "the ωB97M-V functional and the def2-TZVPD basis",
  "method": "the ωB97M-V functional and the def2-TZVPD basis",
  "method": "the ωB97M-V functional and the def2-TZVPD basis",